_Activity_
Return the lines further down up to the one that holds "(Å): 4.822", that line included.

_Entries_
┌──
A) The following is a GGA-PBE calculation of a relaxed structure of SrSb2Pd4, from the Alexandria database.

* volume: 21.56 Å³/atom
* total magnetization: 0.0 μB per cell
* DOS at the Fermi energy: 3.26 states/eV/f.u.

a b c (Å): 18.273 4.603 7.178
angles (deg): 90.00 90.00 90.00
Sites, in units of the cell vectors:
1 Sr 0.141 0.250 0.009
2 Sr 0.359 0.750 0.509
3 Sr 0.641 0.250 0.491
4 Sr 0.859 0.750 0.991
5 Sb 0.037 0.750 0.739
6 Sb 0.208 0.250 0.456
7 Sb 0.292 0.750 0.956
8 Sb 0.463 0.250 0.239
9 Sb 0.537 0.750 0.761
10 Sb 0.708 0.250 0.044
11 Sb 0.792 0.750 0.544
12 Sb 0.963 0.250 0.261
13 Pd 0.017 0.750 0.116
14 Pd 0.065 0.250 0.533
15 Pd 0.184 0.750 0.669
16 Pd 0.218 0.750 0.268
17 Pd 0.282 0.250 0.768
18 Pd 0.316 0.250 0.169
19 Pd 0.435 0.750 0.033
20 Pd 0.483 0.250 0.616
21 Pd 0.517 0.750 0.384
22 Pd 0.565 0.250 0.967
23 Pd 0.684 0.750 0.831
24 Pd 0.718 0.750 0.232
25 Pd 0.782 0.250 0.732
26 Pd 0.816 0.250 0.331
27 Pd 0.935 0.750 0.467
28 Pd 0.983 0.250 0.884

***

B) The following is a GGA-PBE calculation of a relaxed structure of SrSb2Pd4, from the Alexandria database.

* volume: 20.59 Å³/atom
* total magnetization: 0.0 μB per cell
* DOS at the Fermi energy: 3.25 states/eV/f.u.

a b c (Å): 8.283 8.283 4.201
angles (deg): 90.00 90.00 90.00
Sites, in units of the cell vectors:
1 Sr 0.000 0.000 0.000
2 Sr 0.500 0.500 0.500
3 Sb 0.221 0.221 0.500
4 Sb 0.279 0.721 0.000
5 Sb 0.721 0.279 0.000
6 Sb 0.779 0.779 0.500
7 Pd 0.086 0.655 0.500
8 Pd 0.155 0.414 0.000
9 Pd 0.345 0.914 0.500
10 Pd 0.414 0.155 0.000
11 Pd 0.586 0.845 0.000
12 Pd 0.655 0.086 0.500
13 Pd 0.845 0.586 0.000
14 Pd 0.914 0.345 0.500

***

The least stable of them is A).

***

A) The following is a GGA-PBE calculation of a relaxed structure of TaSbPd3, from the Alexandria database.

* volume: 22.42 Å³/atom
* total magnetization: 2.1 μB per cell
* DOS at the Fermi energy: 4.47 states/eV/f.u.

a b c (Å): 4.822 4.822 4.822
angles (deg): 90.00 90.00 90.00
Sites, in units of the cell vectors:
1 Ta 0.000 0.000 0.000
2 Sb 0.500 0.500 0.500
3 Pd 0.000 0.500 0.500
4 Pd 0.500 0.000 0.500
5 Pd 0.500 0.500 0.000

***

B) The following is a GGA-PBE calculation of a relaxed structure of TaSbPd3, from the Alexandria database.

* volume: 23.17 Å³/atom
* total magnetization: 0.0 μB per cell
* DOS at the Fermi energy: 4.82 states/eV/f.u.

a b c (Å): 4.875 4.875 4.875
angles (deg): 90.00 90.00 90.00
Sites, in units of the cell vectors:
1 Ta 0.000 0.000 0.000
2 Sb 0.500 0.500 0.500
3 Pd 0.000 0.000 0.500
4 Pd 0.000 0.500 0.000
5 Pd 0.500 0.000 0.000

***

The least stable of them is A).

***

A) The following is a GGA-PBE calculation of a relaxed structure of TaSbPd6, from the Alexandria database.

* volume: 16.22 Å³/atom
* total magnetization: 0.0 μB per cell
* DOS at the Fermi energy: 5.29 states/eV/f.u.

a b c (Å): 4.003 4.003 8.097
angles (deg): 90.00 90.00 90.00
Sites, in units of the cell vectors:
1 Ta 0.000 0.000 0.000
2 Sb 0.000 0.000 0.500
3 Pd 0.000 0.500 0.235
4 Pd 0.000 0.500 0.765
5 Pd 0.500 0.000 0.235
6 Pd 0.500 0.000 0.765
7 Pd 0.500 0.500 0.000
8 Pd 0.500 0.500 0.500

***

B) The following is a GGA-PBE calculation of a relaxed structure of TaSbPd6, from the Alexandria database.

* volume: 16.69 Å³/atom
* total magnetization: 0.0 μB per cell
* DOS at the Fermi energy: 4.24 states/eV/f.u.

a b c (Å): 5.109 5.124 5.127
angles (deg): 93.39 93.12 93.20
Sites, in units of the cell vectors:
1 Ta 0.000 0.000 0.000
2 Sb 0.500 0.500 0.500
3 Pd 0.044 0.458 0.754
4 Pd 0.246 0.954 0.543
5 Pd 0.459 0.754 0.045
6 Pd 0.541 0.246 0.955
7 Pd 0.754 0.046 0.457
8 Pd 0.956 0.542 0.246

***

The least stable of them is B).

***

A) The following is a GGA-PBE calculation of a relaxed structure of TbSbPd4, from the Alexandria database.

* volume: 18.63 Å³/atom
* total magnetization: 0.0 μB per cell
* DOS at the Fermi energy: 6.06 states/eV/f.u.

a b c (Å): 5.407 5.407 5.407
angles (deg): 60.00 60.00 60.00
Sites, in units of the cell vectors:
1 Tb 0.000 0.000 0.000
└──

_Here it is_
A) The following is a GGA-PBE calculation of a relaxed structure of SrSb2Pd4, from the Alexandria database.

* volume: 21.56 Å³/atom
* total magnetization: 0.0 μB per cell
* DOS at the Fermi energy: 3.26 states/eV/f.u.

a b c (Å): 18.273 4.603 7.178
angles (deg): 90.00 90.00 90.00
Sites, in units of the cell vectors:
1 Sr 0.141 0.250 0.009
2 Sr 0.359 0.750 0.509
3 Sr 0.641 0.250 0.491
4 Sr 0.859 0.750 0.991
5 Sb 0.037 0.750 0.739
6 Sb 0.208 0.250 0.456
7 Sb 0.292 0.750 0.956
8 Sb 0.463 0.250 0.239
9 Sb 0.537 0.750 0.761
10 Sb 0.708 0.250 0.044
11 Sb 0.792 0.750 0.544
12 Sb 0.963 0.250 0.261
13 Pd 0.017 0.750 0.116
14 Pd 0.065 0.250 0.533
15 Pd 0.184 0.750 0.669
16 Pd 0.218 0.750 0.268
17 Pd 0.282 0.250 0.768
18 Pd 0.316 0.250 0.169
19 Pd 0.435 0.750 0.033
20 Pd 0.483 0.250 0.616
21 Pd 0.517 0.750 0.384
22 Pd 0.565 0.250 0.967
23 Pd 0.684 0.750 0.831
24 Pd 0.718 0.750 0.232
25 Pd 0.782 0.250 0.732
26 Pd 0.816 0.250 0.331
27 Pd 0.935 0.750 0.467
28 Pd 0.983 0.250 0.884

***

B) The following is a GGA-PBE calculation of a relaxed structure of SrSb2Pd4, from the Alexandria database.

* volume: 20.59 Å³/atom
* total magnetization: 0.0 μB per cell
* DOS at the Fermi energy: 3.25 states/eV/f.u.

a b c (Å): 8.283 8.283 4.201
angles (deg): 90.00 90.00 90.00
Sites, in units of the cell vectors:
1 Sr 0.000 0.000 0.000
2 Sr 0.500 0.500 0.500
3 Sb 0.221 0.221 0.500
4 Sb 0.279 0.721 0.000
5 Sb 0.721 0.279 0.000
6 Sb 0.779 0.779 0.500
7 Pd 0.086 0.655 0.500
8 Pd 0.155 0.414 0.000
9 Pd 0.345 0.914 0.500
10 Pd 0.414 0.155 0.000
11 Pd 0.586 0.845 0.000
12 Pd 0.655 0.086 0.500
13 Pd 0.845 0.586 0.000
14 Pd 0.914 0.345 0.500

***

The least stable of them is A).

***

A) The following is a GGA-PBE calculation of a relaxed structure of TaSbPd3, from the Alexandria database.

* volume: 22.42 Å³/atom
* total magnetization: 2.1 μB per cell
* DOS at the Fermi energy: 4.47 states/eV/f.u.

a b c (Å): 4.822 4.822 4.822